Since 2002 there has been a specialist asbestos list at the Royal Courts of Justice in London to process mesothelioma and asbestos disease claims, the list having been set up to enable such claims to move forward swiftly.  The aim is to conclude cases, where possible, during a claimant’s lifetime.  The Courts in Manchester and Leeds also followed suit but the success of the specialist asbestos list in London means most claimant solicitors will issue their asbestos claims in London because of the experience and knowledge of the specialist Masters (judges) there.

The procedure was formally adopted in Practice Direction 3D – Mesothelioma Claims which came into force in 2008 and sets out the procedure for processing asbestos claims.

Generally the specialist Masters in the asbestos list will set a strict and tight timetable to take the claim to a Trial if liability is disputed, or an assessment of damages hearing, where liability is not in dispute and the only issue is how much  the claim is worth.  Claimants can though be reassured that very few cases go all the way to a final hearing, whether that be a Trial or an assessment of damages.

The Masters encourage direct contact by email, with telephone hearings (often at short notice) for speed and ease and have an open policy to deal with any issues which arise.  There is no denying that the procedure in the specialist list works very well, generally, for expediting those cases of the utmost urgency.

Of course narrowing the issues and expediting the claim should make it less expensive to fight.  This results in a more swiftly concluded claim and less stress for the claimant, as well as reducing the costs which the defendant will have to pay in a successful case, the defendant being responsible for paying the claimant’s legal costs, in addition to their compensation, in the event of a successful claim.

However a claimant’s solicitor can never quite predict the tactics of the defendant’s solicitor to stall and delay, which could sadly result in the claimant passing away before the conclusion of their case.   In some cases this could result in the claim being worth less (an advantage for the defendant and a reason therefore for them to utilise delaying tactics) with of course the tragic result that the claimant would not see the benefit of any compensation, which would instead fall to the Estate and their dependants (if any).

Many defendant solicitors take a constructive approach, but I have unfortunately known defendant’s solicitors to agree a timetable to a final hearing, well aware of the dates they will be bound to comply with, only to then request an extension of time for each of every one of the directions.  These are steps parties are required to take to prepare for the final hearing, such as serving witness and expert evidence and details of how each party values the claim.  Failure to comply with these within the specified time limits can often jeopardise the final hearing date.

Of course there is sometimes a good reason why a party may need extra time to comply with one of the court’s directions and agreeing a short extension of time may not jeopardise the claim. Indeed, sometimes it is the claimant’s solicitor who needs such additional time for compliance with a direction. However a request for such an extension without clear and just reason will generally be met with a refusal by me and other specialist claimant asbestos disease lawyers, in order that the claim can be kept on track.

I had a living asbestos-related lung cancer claim three years ago which was fully contested.  I issued court proceedings to progress matters and the claim was dealt with in the asbestos list.  When it came to the medical evidence, the court had ordered an expert oncologist to deal with a specific point relating to a previous cancer the claimant had had in the past and whether this had affected his life expectancy, which in turn had a bearing on the value of the claim and could have made the claim less valuable.

The defendant, however, went beyond the permission of the court in their instruction of this expert as their oncologist gave an opinion about the cause of the lung cancer, which was not supportive for the claim.  This was beyond the scope of the court’s permission.  The defendant’s respiratory consultant referred to the oncologist’s opinion so I took the bold step of applying to the court to strike out the defendant’s medical evidence entirely on the basis that it was all contaminated by the oncologist’s opinion.

The application was successful and the claim settled soon after, despite the defendant applying to appeal the Master’s decision. What defendant wants to go to Trial with no medical evidence to rely on?!

## These calculated crystals were left in the piece by mistake
<<<
# 1
Here is a relaxed structure of MgAl2O4 from the Alexandria database. Energies are from PBEsol.

a b c (Å): 8.109 8.109 8.109
angles (deg): 90.00 90.00 90.00
Space group Fd-3m (No. 227, origin choice 2)
Unique sites:
Mg: 0.125 0.125 0.125
Al: 0.000 0.000 0.500
O: 0.014 0.014 0.736

## Properties
The formation energy (no corrections) comes out at -3023 meV per atom.

# 2
Here is a relaxed structure of MgAlPO5 from the Alexandria database. Energies are from PBEsol.

a b c (Å): 7.121 10.378 5.469
angles (deg): 90.00 98.38 90.00
Space group P2_1/c (No. 14)
Unique sites:
Mg: 0.015 0.142 0.117
Al: 0.359 0.174 0.558
P: 0.219 0.598 0.931
O: 0.086 0.686 0.059
O: 0.110 0.545 0.687
O: 0.268 0.219 0.257
O: 0.284 0.015 0.608
O: 0.392 0.676 0.879

## Properties
The formation energy (no corrections) comes out at -2730 meV per atom.

# 3
Here is a relaxed structure of MgAl2P3O12 from the Alexandria database. Energies are from PBEsol.

a b c (Å): 13.206 12.923 8.958
angles (deg): 90.00 90.85 90.00
Space group Cc (No. 9)
Unique sites:
Mg: 0.000 0.125 0.000
Al: 0.123 0.488 0.739
Al: 0.262 0.126 0.480
P: 0.002 0.379 0.001
P: 0.143 0.018 0.740
P: 0.248 0.375 0.477
O: 0.017 0.268 0.050
O: 0.029 0.453 0.130
O: 0.064 0.032 0.138
O: 0.067 0.404 0.866
O: 0.089 0.098 0.836
O: 0.192 0.420 0.340
O: 0.195 0.065 0.337
O: 0.201 0.418 0.621
O: 0.225 0.072 0.649
O: 0.233 0.257 0.475
O: 0.359 0.403 0.472
O: 0.390 0.103 0.456

## Properties
The formation energy (no corrections) comes out at -2453 meV per atom.

# 4
Here is a relaxed structure of Mg3Al7Si4O22 from the Alexandria database. Energies are from PBEsol.

a b c (Å): 6.753 16.125 13.756
angles (deg): 90.00 90.00 90.00
Space group Amm2 (No. 38)
Unique sites:
Mg: 0.000 0.000 0.000
Mg: 0.000 0.118 0.482
Mg: 0.500 0.000 0.704
Mg: 0.500 0.122 0.213
Al: 0.000 0.187 0.989
Al: 0.250 0.096 0.852
Al: 0.251 0.214 0.353
Al: 0.500 0.185 0.017
Al: 0.500 0.186 0.710
Si: 0.000 0.000 0.695
Si: 0.000 0.099 0.204
Si: 0.000 0.180 0.681
Si: 0.500 0.000 0.009
Si: 0.500 0.098 0.499
O: 0.000 0.000 0.225
O: 0.000 0.000 0.445
O: 0.000 0.084 0.630
O: 0.000 0.095 0.896
O: 0.000 0.103 0.083
O: 0.000 0.225 0.395
O: 0.000 0.233 0.584
O: 0.199 0.142 0.250
O: 0.201 0.000 0.762
O: 0.201 0.181 0.750
O: 0.283 0.184 0.943
O: 0.301 0.141 0.454
O: 0.302 0.000 0.938
O: 0.500 0.000 0.255
O: 0.500 0.000 0.473
O: 0.500 0.084 0.071
O: 0.500 0.098 0.804
O: 0.500 0.100 0.619
O: 0.500 0.230 0.308
O: 0.500 0.235 0.124

## Properties
The formation energy (no corrections) comes out at -2853 meV per atom.

# 5
Here is a relaxed structure of Mg30TiAlO32 from the Alexandria database. Energies are from PBEsol.

a b c (Å): 8.460 8.460 8.454
angles (deg): 90.00 90.00 90.00
Space group P4/mmm (No. 123)
Unique sites:
Mg: 0.000 0.000 0.000
Mg: 0.000 0.249 0.250
Mg: 0.000 0.500 0.000
Mg: 0.000 0.500 0.500
Mg: 0.248 0.248 0.500
Mg: 0.249 0.249 0.000
Mg: 0.249 0.500 0.250
Mg: 0.500 0.500 0.000
Ti: 0.000 0.000 0.500
Al: 0.500 0.500 0.500
O: 0.000 0.000 0.242
O: 0.000 0.252 0.000
>>>

I also recently dealt with a mesothelioma claim where the specialist list again worked well for the claimant. The claimant had a poor prognosis and the defendant’s solicitors were dragging their heels. I had made a settlement offer, to which I had had no meaningful response. I therefore quickly issued court proceedings to enable the claim to progress more swiftly and put the defendant under pressure.  At the first hearing, the Master entered judgment such that the question of liability was no longer an issue.  The defendant was ordered to pay the claimant an interim payment and a timetable was set to take the matter to an urgent assessment of damages hearing.  I, on behalf of the claimant, had complied with the directions required so it was more a question of waiting for the defendant to “catch up”.

The claimant’s health was deteriorating and his claim was more valuable if concluded during his lifetime as he had no financial dependants. I therefore applied to the court for the final hearing to be moved forward, once all of the directions had been complied with.  This was an excellent example of the specialist list working well for mesothelioma claimants. Bringing the final hearing forward was clearly in the best interests of the claimant and there was no difficulty in achieving that. The new hearing date put the defendant on the back foot as the hearing was brought forward by over one month.

However, still no offers were forthcoming from the defendant until just less than 2 weeks before the assessment of damages hearing. We stood by our original offer, which the defendant did eventually accept just 3 days before the final hearing, after all the preparation for the final hearing had been done, and some 4 months after the offer had been made.

To add insult to injury, in terms of the defendant’s poor conduct on this particular case, once the claim was concluded the defendant refused to make any further payments to the claimant until an updated certificate of benefits was available, the defendant having failed to obtain this before the upcoming final hearing.

Again I applied to one of the specialist Masters for an order requiring the defendant to make a further interim payment to the claimant and the Master listed an urgent hearing by telephone to consider my request.  Thankfully taking this step was enough for the defendant’s solicitors to make such payment voluntarily, such that we could vacate the hearing before the Master. This case illustrates well the approach of the Masters in the asbestos list and how well an expedited procedure works for claimants with a limited life expectancy.

Most claimant mesothelioma and asbestos disease solicitors will make full use of the specialist list to ensure these claims can progress as swiftly as possible.  The benefits are clear and I wholeheartedly commend the Masters involved for their support and understanding of these claims.


Melloney Harbutt

Boyes Turner LLP

January 2022